
[en] Introduction to Sylheti Wikipedia


Sylheti Wikipedia is an online encyclopedia that contains articles written in the Sylheti language. The Sylheti language is spoken by over 10 million people worldwide, primarily in the northern part of Bangladesh and the Indian state of Assam. The Sylheti script and numeral systems are unique to the language, making it an important cultural and historical aspect of the region.

Introducing Sylheti Wikipedia to the world is important for several reasons. Firstly, it is aimed at preserving the Sylheti language, which is gradually losing its significance due to the widespread usage of Bengali and English. As a result, many Sylheti words and phrases are slowly becoming extinct. An online platform like Sylheti Wikipedia can help to revive and conserve the language.

Secondly, Sylheti Wikipedia is critical in promoting Sylheti culture and history. Sylheti cuisine, music, dance, and festivals are unique and distinctive from other Bengali cultures. They are not as widely recognised as Bengali and other cultures, but they are just as significant. Through Sylheti Wikipedia, the world could learn more about the rich cultural heritage of the Sylheti people.

Additionally, Sylheti Wikipedia provides an opportunity for the Sylheti people to showcase their language, history and culture to the world. It can help to foster national and global appreciation of Sylheti language and its importance in the region's cultural, social and economic context.

The significance of Sylheti script is also worth mentioning here. Sylheti script speculated as an adaptation of the Kaithi script, but it has several unique features. The script is slowly losing its prominence and has become less popular, primarily due to the widespread usage of other scripts. This makes it crucial to promote and preserve the script.

_Misplaced calculated crystals_
********
[1]
Starting from a DFT-relaxed cell (PBE, OQMD), the powder X-ray diffraction pattern of Cs4TePt was calculated for Cu Ka.
No peak broadening, texture or thermal motion is included.

The 10 most intense peaks (5 to 70 degrees two-theta), in order of rising 2θ:
| d/Å | intensity | hkl |
| --- | --- | --- |
| 4.946 | 32 | 1 0 1 |
| 3.029 | 100 | 2 0 0 |
| 2.591 | 6 | 1 0 3 |
| 2.579 | 13 | 2 1 1 |
| 2.150 | 6 | 0 0 4 |
| 2.138 | 13 | 2 2 0 |
| 1.752 | 12 | 2 0 4 |
| 1.747 | 26 | 3 1 2 |
| 1.516 | 8 | 2 2 4 |
| 1.352 | 11 | 4 2 0 |

Structure:
```
6
Lattice="6.046 0.000 0.000 0.000 6.046 0.000 0.000 0.000 8.602" Properties=species:S:1:pos:R:3 pbc="T T T"
Cs 0.000 3.023 2.001
Cs 0.000 3.023 6.601
Cs 3.023 0.000 2.001
Cs 3.023 0.000 6.601
Te 0.000 0.000 4.301
Pt 3.023 3.023 0.000
```

[2]
Starting from a DFT-relaxed cell (PBE, OQMD), the powder X-ray diffraction pattern of Cs4PuSiS6 was calculated for Cu Ka.
No peak broadening, texture or thermal motion is included.

The 10 most intense peaks (5 to 70 degrees two-theta), in order of rising 2θ:
| d/Å | intensity | hkl |
| --- | --- | --- |
| 5.966 | 30 | 1 0 1 |
| 4.528 | 33 | 1 0 -1 |
| 4.345 | 32 | 1 1 2 |
| 3.839 | 65 | 1 -1 1 |
| 3.774 | 61 | 1 2 0 |
| 3.647 | 100 | 2 1 1 |
| 3.532 | 56 | 0 2 1 |
| 3.439 | 73 | 0 1 -2 |
| 2.486 | 34 | 2 3 2 |
| 1.823 | 29 | 4 2 2 |

Structure:
```
12
Lattice="7.302 0.000 0.000 3.392 7.322 0.000 3.332 1.336 8.509" Properties=species:S:1:pos:R:3 pbc="T T T"
Cs 0.000 0.000 0.000
Cs 3.512 3.320 2.245
Cs 7.087 6.120 3.866
Cs 10.428 5.790 7.137
Pu 7.215 1.745 4.039
Si 6.926 3.068 7.041
S 6.700 5.143 7.320
S 5.298 2.349 5.690
S 3.650 0.478 0.200
S 7.166 3.159 1.970
S 8.781 2.787 5.842
S 10.811 6.605 3.529
```

[3]
Starting from a DFT-relaxed cell (PBE, OQMD), the powder X-ray diffraction pattern of CsSrPu was calculated for Cu Ka.
No peak broadening, texture or thermal motion is included.

The 10 most intense peaks (5 to 70 degrees two-theta), in order of rising 2θ:
| d/Å | intensity | hkl |
| --- | --- | --- |
| 5.334 | 19 | 1 1 1 |
| 4.620 | 43 | 2 0 0 |
| 3.266 | 100 | 2 2 0 |
| 2.786 | 12 | 3 1 1 |
| 2.667 | 14 | 2 2 2 |
| 2.310 | 19 | 4 0 0 |
| 2.066 | 21 | 4 2 0 |
| 1.886 | 43 | 4 2 2 |
| 1.633 | 13 | 4 4 0 |
| 1.461 | 19 | 6 2 0 |

Structure:
```
12
Lattice="9.239 0.000 0.000 0.000 9.239 0.000 0.000 0.000 9.239" Properties=species:S:1:pos:R:3 pbc="T T T"
Cs 0.000 0.000 0.000
Cs 0.000 4.620 4.620
Cs 4.620 0.000 4.620
Cs 4.620 4.620 0.000
Sr 2.310 2.310 6.929
Sr 2.310 6.929 2.310
Sr 6.929 2.310 2.310
Sr 6.929 6.929 6.929
Pu 0.000 0.000 4.620
Pu 0.000 4.620 0.000
Pu 4.620 0.000 0.000
Pu 4.620 4.620 4.620
```

Copy entry 2 word for word.
Starting from a DFT-relaxed cell (PBE, OQMD), the powder X-ray diffraction pattern of Cs4PuSiS6 was calculated for Cu Ka.
No peak broadening, texture or thermal motion is included.

The 10 most intense peaks (5 to 70 degrees two-theta), in order of rising 2θ:
| d/Å | intensity | hkl |
| --- | --- | --- |
| 5.966 | 30 | 1 0 1 |
********

Similarly, the Sylheti numeral system is also unique to the language. It differs from the widely used Hindu-Arabic numeral system. It has been historically used in various commercial activities and still holds significance amongst enthusiasts. By providing a platform to promote and publicise the Sylheti language, Sylheti Wikipedia can be instrumental in preserving the Sylheti script and numeral system.

Sylheti Wikipedia is an essential resource and platform for the Sylheti people globally. It preserves and promotes the Sylheti language, history and culture for future generations, celebrates the language's unique script and numeral systems, and enables people worldwide to learn about Sylheti culture and history. Therefore, we invite everyone worldwide to visit and support Sylheti Wikipedia and learn more about this remarkable language and culture.